Do you or your employees work outside or in hot environments? Safety in these environments is critical to keeping yourself and your employees healthy and productive. According to the Occupational Safety and Health Administration (OSHA), it is essential for us all to understand the potential threat that heat and humidity pose to workers. Let's first take a look at some of the potential consequences of working in the sun or heat:
Heat rash is going to be the most common heat-related issue at work. This takes the form of red clusters that look like pimples or small blisters caused by sweating. The most common areas to find heat rash are the neck, upper chest, groin, under the breasts, and elbow creases. The best way to treat this is to provide a cooler, less humid work environment. Powder can be applied to reduce friction and discomfort, but no ointment should be used as you want to keep the rash dry.
Heat cramps are the next heat-related issue. These are muscle pains caused by the loss of body salts and fluid that are expelled through sweating. Workers who experience heat cramps should replace the lost fluids through water and/or carbohydrate-electrolyte replacement drinks such as Gatorade every 15-20 minutes.
Heat exhaustion is a very serious heat-related problem. The signs and symptoms of heat exhaustion are: headache, nausea, dizziness, weakness, irritability, confusion, thirst, heavy sweating, and a body temperature greater than 104 degrees Fahrenheit
. Workers who are experiencing heat exhaustion must be removed from the hot area and given liquids to drink. The worker must be cooled off with cold compresses to the head, neck, and face or wash their face with cold water. Workers with signs or symptoms of heat exhaustion should be taken to a clinic or emergency room for a medical evaluation and treatment. The worker should not be left alone until they are examined as their symptoms could worsen.
Attached: crystal structures.
This entry pairs a crystal structure of RbCaFe4As4 with its computed PXRD pattern. Radiation: Cu Ka. Structure: the PBE geometry in the Materials Project.
Peak positions follow from Bragg's law for the DFT cell and can differ from measured ones.

Largest 12 diffraction maxima, most intense first, 10° ≤ 2θ ≤ 90°:
2theta  I_rel
31.55  100
46.09  51
49.54  40
14.45  39
56.92  36
35.40  32
26.91  21
55.81  16
67.22  16
87.93  15
43.93  14
32.14  13

Crystal structure
Unit cell a=3.9391 b=3.9391 c=12.2564 alpha=90.00 beta=90.00 gamma=90.00
Space group P4/mmm (No. 123)
Asymmetric unit:
Rb  0.0000  0.0000  0.0000
Ca  0.5000  0.5000  0.5000
Fe  0.0000  0.5000  0.2800
As  0.0000  0.0000  0.3763
As  0.5000  0.5000  0.1785

~~~~~

This entry pairs a crystal structure of K2U2O7 with its computed XRD peak list. Radiation: Cu Kα. Structure: DFT lattice parameters and positions (GGA-PBE).
Neutral-atom scattering factors, no anomalous dispersion.

Peak list (6 most intense, 2θ from 15° to 90°, by angle)
d [Å]	2θ/deg	I (rel.)	index
3.444	25.9	60	1 1 0
3.398	26.2	33	0 0 2
3.305	27.0	100	2 0 0
2.882	31.0	50	1 1 1
2.017	44.9	34	0 2 0
1.735	52.8	28	0 2 2

Structure:
Cell: 6.9876 4.0351 7.1825 Å, 90.00 108.88 90.00°
Fractional coordinates of all 11 atoms:
K  0.0000  0.0000  0.0000
K  0.5003  0.5000  0.0059
Heat stroke is the most serious heat-related health problem. Heat stroke occurs when the body's temperature regulating system fails and the body temperature rises to critical levels (greater than 104 degrees Farenheit). Heat stroke is a medical emergency that could result in death. The signs of heat stroke are: confusion, loss of consciousness, and seizures. Workers experiencing heat stroke have a very high body temperature and may stop sweating. If a worker shows signs of a possible heat stroke, get medical help immediately. Call 911. Until medical help arrives, move the worker to a shaded, cool area and remove as much of their clothing as possible. Wet the worker with cool water and circulate the air to speed cooling. Place cold wet cloths, wet towels, or ice all over the body or soak the worker's clothing in cold water.
All of these are preventable through prevention measures, such as:

Wear sunscreen when working outdoors
If working in the sun, wear a hat with a wide brim
Drink small amounts of water frequently
Wear light-colored, loose-fitting, breathable clothing
Take frequent short breaks in cool shade
Eat small meals before work activity
Avoid caffeine, sugar, and alcohol
Work in the shade if possible
Listen to workers and watch them for signs of the above heat-related conditions